1974 Ph.D., in Geology and Geophysics, University of Hawaii.
1969 M.Sc., in Geology, Syracuse University.
1967 B.A., in Geology, Queens College, City University of New York.
1963 New Mexico Institute of Mining and Technology, Socorro, New Mexico
Licensed Geologist, State of Washington # 1023
Registered Professional Archaeologist (RPA) # 989153
Johnson, Malia and M. Morgenstein. 2014. Using Portable EDXRF for Provenance of Third Century B.C. Through the First Century A.D. Ceramics from Morgantina, Sicily, Princeton University Press
Wolff, S., Johnson, M., and M. Morgenstein. In Review. Using Portable and Laboratory EDXRF with Neutron Activation Analysis (NAA) for Provenance of Bronze Age and Persian Period Ceramics from Tel Megadim, Israel.
Next to the entry, the page also holds quantum chemistry results
Entry 1:
Below is an isolated molecule of C5H5NO, with properties calculated with ωB97M-V/def2-TZVPD.

Output
Frontier orbital gap = 9.579 eV
Relative energy (zero: lowest compared OMol25 entry of this formula, charge and spin) = 327.58 kJ/mol
Charge = 0
Maximum force = 0.72 eV/Å
HOMO level = -9.13 eV
Lowest unoccupied orbital energy = 0.45 eV

XYZ file:
```
12
Properties=species:S:1:pos:R:3:mulliken_charge:R:1
O -2.576 -0.032 0.716 -0.48
C -1.422 -0.713 0.952 -0.02
C 1.015 0.050 -2.145 -0.87
C 1.387 0.350 -0.927 0.77
N 1.758 0.646 0.206 -0.45
C -0.259 -0.190 1.259 -0.28
C 0.939 0.335 1.342 -0.16
H -2.376 0.915 0.728 0.31
H -1.574 -1.786 0.884 0.32
H 1.279 -0.909 -2.579 0.25
H 0.419 0.747 -2.724 0.25
H 1.411 0.588 2.288 0.36
```

***

Entry 2:
Below is a structure of composition C37H54CuN3OP2, with properties calculated with ωB97M-V/def2-TZVPD.

Output
⟨S²⟩ = 0.783
Multiplicity = 2
Frontier orbital gap (alpha / beta) = 6.745 / 5.398 eV
Relative energy (zero: lowest compared OMol25 entry of this formula, charge and spin) = 6.91 kJ/mol
Charge = +1
Maximum force = 5.88 eV/Å
HOMO level (alpha / beta) = -9.54 / -9.54 eV
Lowest unoccupied orbital energy (alpha / beta) = -2.80 / -4.15 eV

XYZ file:
```
98
Properties=species:S:1:pos:R:3:mulliken_spin:R:1
C -2.001 1.385 -2.089 -0.01
C -3.011 -0.105 -0.603 0.08
C -3.184 1.506 -2.818 0.16
C -4.149 -0.178 -1.469 0.23
C -4.258 0.664 -2.565 -0.04
H -3.175 2.209 -3.641 0.00
H -4.950 -0.854 -1.184 0.00
H -5.159 0.720 -3.187 0.00
N -1.917 0.629 -0.995 0.11
P 0.863 1.459 -1.931 0.00
P -1.788 -0.527 1.956 0.04
C -0.763 2.150 -2.550 -0.02
H -0.791 2.167 -3.654 0.00
H -0.855 3.192 -2.195 0.01
C -3.047 -0.764 0.668 0.44
H -3.732 -1.638 0.674 -0.06
C -0.998 -2.159 2.961 0.00
C -3.154 0.423 2.955 0.04
C 1.316 0.305 -3.409 0.00
C 2.002 3.006 -1.991 0.00
C 0.516 -2.366 2.802 -0.01
H 1.105 -1.494 3.112 0.00
H 0.831 -3.189 3.471 0.00
H 0.817 -2.655 1.792 0.00
C -1.195 -1.944 4.469 0.01
H -0.571 -1.115 4.836 0.00
H -2.233 -1.762 4.760 0.00
H -0.861 -2.839 5.022 0.00
C -1.728 -3.394 2.434 0.03
H -1.446 -4.286 3.021 0.00
H -2.818 -3.295 2.510 0.00
H -1.474 -3.599 1.383 -0.02
C -2.584 1.082 4.204 0.01
H -1.871 1.868 3.928 0.00
H -3.428 1.547 4.735 0.00
H -2.090 0.396 4.897 0.00
C -3.739 1.556 2.083 0.03
H -2.950 2.121 1.569 0.00
H -4.448 1.180 1.333 -0.01
H -4.278 2.274 2.722 0.00
C -4.229 -0.632 3.267 0.02
H -4.291 -1.420 2.502 -0.01
H -4.076 -1.140 4.228 0.00
H -5.220 -0.151 3.289 0.00
C 3.474 2.578 -1.850 0.00
H 4.085 3.478 -1.680 0.00
H 3.621 1.918 -0.983 0.00
H 3.883 2.086 -2.743 0.00
C 1.635 3.882 -0.782 0.00
H 0.564 4.118 -0.761 0.00
H 1.925 3.423 0.170 0.00
H 2.181 4.832 -0.879 0.00
C 1.786 3.876 -3.239 0.00
H 2.367 4.802 -3.113 0.00
H 2.131 3.422 -4.170 0.00
H 0.733 4.162 -3.352 0.00
C 0.095 -0.550 -3.784 0.00
H 0.359 -1.203 -4.631 0.00
H -0.198 -1.198 -2.952 0.00
H -0.770 0.054 -4.087 0.00
C 2.441 -0.605 -2.903 0.00
H 2.135 -1.140 -2.003 0.00
H 2.676 -1.362 -3.664 0.00
H 3.353 -0.044 -2.668 0.00
Redmount, C. A. and M. Morgenstein. 2007 "Overview Of The Current State Of The Dynasty 21 Amun Temple At El-Hiba." Servant of Mut: Studies in Honor of Richard A. Fazzini. Ed. S.H. D'Auria. Brill, 2007. Brill E-Books. DOI:10.1163/ej.9789004158573.i-267.70
Emery, V. L. and M. Morgenstein. 2007. Portable EDXRF Analysis of a Mud Brick Necropolis Enclosure: Evidence of Work Organization, El-Hibeh Middle Egypt, Journal Arch. Sci.34, 111-122.
Pulvirenti, A. L., K. M. Needham, M. A. Adel-Hadadi, C. R. Marks, J. A. Gorman, M. E. Morgenstein, D. L. Shettel and A. Barkatt. 2007. Acid Generation upon Thermal Concentration of Natural Water: The Effects of Ionic Composition and Critical Water Content. Applied Geochem.
Morgenstein, M. 2006. Geochemical and Petrographic Approaches to Chert Tool Provenance Studies: Evidence from Two Western USA Holocene Archaeological Sites. In: Geomaterials in Cultural Heritage (Eds: Maggetti, M. & Messiga, B.) Geol. Soc of London, Spec. Pub. 257,307-321.
Morgenstein, M. and C. A. Redmount. 2005. Using Portable Dispersive X-Ray Fluorescence (EDXRF) Analysis for On-Site Study of Ceramic Sherds at El-Hibeh, Egypt. Jour. Arch. Sci., 32 (11), p. 1613-1623.
Pulvirenti, A. L., Eddy, S. J., Calabrese, T. M., Adel-Hadadi, M. A., Barkatt, A., and M. Morgenstein, 2006. Interaction of Iron-Containing Silicate Glasses with Aqueous Salt Solutions. Jour. of Physics and Chemistry of Glass: European Journal Glass Technology Part B, V. 47 (1), 47-57.
Hockett, B., and M. Morgenstein, 2003. Ceramic Production, Fremont Foragers, and the Late Archaic Prehistory of the North-Central Great Basin. J. Utah Arch., 16(1), 1-36.
Kirch, P.V., O’Day, S., Coil, J., Morgenstein, M., Kawelu, K., and M. Millerstrom, 2003. The Kaupikiawa Rockshelter, Kalaupapa Peninsula, Molokai: New Investigations and Reinterpretation of its Significance for Hawaiian Prehistory. People of Culture in Oceania, 19, 1-27.
Morgenstein, M., Luo, S., Ku, The-Lung, and J. Feathers, 2003. Uranium-Series and Luminescence Dating of Volcanic Lithic Artefacts. Archaeometry 45(3), 513-528.
Phillips, S. and M. Morgenstein, 2002. A Plains Ceramic Clays Source Characterization by Comparative Geochemical and Petrographic Analysis: Results from the Calhan Paint Mines, Colorado, U.S.A. , Geoarchaeology, vol. 17, no. 6, p.579-599.
Morgenstein, M., and C. Redmount, 2000. Land and Soil. The Oxford Encyclopedia of Ancient Egypt, ed.: D. B. Redford, Volume I, Oxford University Press, New York, NY., p. 254 - 255.
Morgenstein, M., C. L. Wickert, and A. Barkett, 1999. Considerations of Hydration-Rind Dating of Glass Artifacts: Alteration Morphologies and Experimental Evidence of Hydrogeochemical Soil-Zone Pore Water Control. Jour. Archaeological Science, Vol. 26, p. 1193-1210. (Abstract 51st Annual Northwest Anthropological Conference, April 16- 18, 1998 Meeting, Missoula, Montana)
Morgenstein, M., and W. Latady, 1997. Proveniencing Intrusive, Trade and Local Pottery by Magnetic Susceptibility Measurements, Geochemical and Petrographic Analysis: The Coombs Site, 42GA34. Learning from the Land: The Grand Staircase-Escalante Natural Science Symposium, Nov. 1-5, 1997, Proceedings.
Morgenstein, M., and C. Redmount, 1998. Mud Brick Typology and Sedimentological Composition from Tell El-Muqdam, Egyptian Delta. JARCE, XXXV, 129-146.
Redmount, C. A. and M. Morgenstein, 1996. Major and Trace Element Analysis of Modern Egyptian Pottery; Jour. Archaeological Science, v. 23, 741-762.
Shettel, D. L. and M. Morgenstein, 1995. Radionuclide Releases from Borosilicate and Natural Glasses; 6th I.H.L.R.W.M. Conf. Proceedings, Amer. Nuclear Soc., Inc., La Grange Park, Ill.
Morgenstein, M. and D. L. Shettel, 1994. Volcanic Glass as a Natural Analog for Borosilicate Waste Glass; Mat. Res. Soc. Symp. Proc., vol. 333, p.605-615.
Morgenstein, M. and D. L. Shettel, Jr., 1993. Evaluation of Borosilicate Glass as a High-level Radioactive Waste Form; HLRWM, 4Th International Conference Proceedings, Amer. Nuclear Soc., Inc., La Grange Park, Ill.
Morgenstein, M., 1990. Hydration-Rind Dating of Basaltic Glass Artifacts: Reaction Dependence of Temperature and Chemistry; Asian Perspectives, vol. 27, no. 2, p. 68-71.
Burns, R. G., V. Wood, and M. Morgenstein, 1990. Sorption of Cesium and Strontium by Zeolite Single Crystals; Radionuclide Adsorption Workshop, Yucca Mountain Project, Sept 11- 12, 1990, Los Alamos National Laboratory, Los Alamos, New Mexico.
Burns, R. G., T.S. Bowers, V.J. Wood, J. D. Blundy, and M.E. Morgenstein, 1989. Reactivity of zeolites forming in vitric tuffs in the unsaturated zone at Yucca Mountain, Nevada (Abstract), American Nuclear society and Geological Society of America FOCUS ‘89, Nuclear Waste Isolation in the Unsaturated Zone, 18 to 21 September 1989; pp. 101-112.
Morgenstein, M. and P. Rosendahl, 1976. Basaltic Glass Hydration Dating, In: Advances in Obsidian Glass Studies: Archaeological and Geological Perspectives, R. E. Taylor (Ed.), Park Ridge, New Jersey: Noyes Press; Chapter 8, pp. 141-164.
Burnett, W. C. and M. Morgenstein, 1976. Growth Rates of Pacific Manganese Nodules as Deduced by Uranium Series and Hydration-rind Dating Techniques; In: Earth and Planetary Science Letters, 33, pp. 208-218.
Burnett, W. C., M. Morgenstein, and D. Z. Piper, 1975. Geochemistry and Age of a Ferromanganese Crust from the Galapagos Spreading Center, Eastern Pacific; In: EOS Trans. Am. Geophys., Union 56, p. 1000.
Morgenstein, M., 1975. Manganese Nodules and Crusts in the Hawaiian Archipelago; Statement of MEM, Dept. of Oceanography, Assoc. Director, State Ferromanganese Program, In. Hawaiian Native Claims Settlement Act Part 1: Hearings before the Subcommittee on Indian Affairs of the Committee on Interior and Insular Affairs, House of Representatives, Ninety-fourth Congress, first session on H.R. 1944, U.S. Gov. Printing Office, Serial No. 94-2, pp. 324-326.
Morgenstein, M. and T. J. Riley, 1974. Hydration-Rind Dating of Basaltic Glass: A New Method for Archaeological Chronologies; In: Asian Perspectives, vol. XVII, (2), p. 145-159.
Morgenstein, M., 1974. Dating Techniques for the Archaeologist Review, MIT Press; In: Asian Perspectives, vol. XVII (1).
Morgenstein, M., 1973. Sedimentary Diagenesis and Rates of Manganese Accretion on the Waho Shelf Kauai Channel, Hawaii; Abstract Program, American Geophysical Union, Washington, D. C..
Fein, C. and M. Morgenstein, 1973. Microprobe Analysis of Manganese Crusts from the Hawaiian Archipelago: Abstract A.G.U., Washington, D. C..
Morgenstein, M., 1973. Hawaii Institute of Geophysics Data Bank for Manganese collection and
Hydration-rind Dating, HIG 73-5, 187 p.
Landmeisser, C. W. and M. Morgenstein, 1973. Survey and Mapping of Manganese Deposits in
the Hawaiian Archipelago, In: The Origin and Distribution of Manganese Nodules in the Pacific and Prospects for Exploration (Ed: M. Morgenstein), Honolulu, Hawaii, p. 93- 101.
Morgenstein, M., Ed., 1973. The Origin and Distribution of Manganese Nodules in the Pacific and Prospect of Exploration, International Workshop and Symposium, Honolulu, Hawaii; NSF-IDOE, HIG of Univ. of Hawaii., State of Hawaii Marine Affairs Coordinator, State of Hawaii DPED., Preussag A.G.- Hanover, Salzgitter A.G., Bundes Ministerium fur Forschung und Technologie, Bonn , and AMR, 175 p.
Morgenstein, M., 1972. Manganese Accretion at the Sediment - Water Interface at 400 to 2400 meters Depth Hawaiian Archipelago; Office of the International Decade of Ocean Exploration, NSF, Conference, Manganese deposits on the Ocean Floor, Arden House, New York, p. 131-138.
Morgenstein, M., 1974. Sedimentary Diagenesis and Manganese Accretion on Submarine Platforms, Kauai Channel, Hawaii; University of Hawaii, Ph.D. Dissertation, 172 p.
Fein, C. and M. Morgenstein, 1974. New Artificial Reefs on Oahu; In: Proceedings of an International Conference on Artificial Reefs., L. Colunga & R. Stone Eds., TAMU-SG- 74-103, Center for Marine Resources,Texas A&M University, College Station, Texas.
Morgenstein, M. and W. C. Burnett, 1972. Geological Observations at an Agricultural Area in the Upper Makaha Valley, Makaha Valley Historical Project; Department of Anthropology, Bernice Pauahi Bishop Museum, p. 95-112.
Morgenstein, M., 1972. Sideromelane-Palagonite Transition in Authigenic Marine Sediments [Abstract] Geological Society of America Meeting, Cordilleran Section, p. 203.
Morgenstein, M., 1972. Structural Analysis of Basaltic Glass Failure and Its Relationship to Palagonite Formation in the Marine Environment; [Abstract] Geological Society of America Meeting, Cordilleran Section, p. 203.
Morgenstein, M., 1971. A Study of the Growth Morphologies of Two Deep-sea Manganese Meganodules; Pacific Science, vol. 25, no. 3, p. 301-307.
Morgenstein, M. and J. Andrews, 1971. Manganese Resources in the Hawaiian Region, Marine Tech. Soc. Jour., vol. 5, no. 6, p. 27-30.
Morgenstein, M., 1967. Authigenic Cementation of Scoriaceous Deep-Sea Sediments West of the Society Ridge, South Pacific; Sedimentology, vol. 9, p. 105-118.
Morgenstein, M., 1969. The Composition and Development of Palagonite in Deep-sea Sediments from the Atlantic and Pacific Oceans; Syracuse University, New York, 137 p. (Master’s Thesis).
I focus on geoarchaeology and in specific provenance issues, age dating, sedimentation and stratigraphy, soils morphology, ceramic and stone tool petrography, site formation, and geophysics survey techniques.